You know how sometimes things seem to align themselves in such a way that everywhere you turn, the same theme pops up everywhere? The repetition makes you think that the universe is trying to tell you something.
My hair stylist has been telling me for years that I should shampoo less. I used to shampoo my hair daily because my scalp gets oily and itchy. And, yes, I know what she’s saying. The more I wash, the more I strip the good oils from my scalp, the more my scalp generates oil. And round and round we go. Intellectually, I know all of that. But I just can’t do it. I bought into the whole marketing of hair products into thinking I need to wash daily to have the perfect hair.
Over the course of the past year, I weaned myself off of products containing Sodium Lauryl Sulfate and/or Laureth Sulfate and onto shampooing every other day. Still my stylist would like to see if I can go down to twice a week. (We just had this discussion in January. I was so proud of the every other day business when she dropped the twice a week bomb.)
A few months ago, I was talking with the ladies at the club about dry skin and what soaps do to our skin. I mentioned that, even if you use minimal soap, or only the mildest of all soaps, you still use shampoo. And if you shower, all that crap ends up on your body. So, to take care of your skin, you also need to look at what’s happening with your hair.
Last week, I heard a news story on NPR on shampooing less. Americans have been brain washed by Madison Avenue into shampooing every day. Less than that, you are not clean nor sexy. Hair limp and lifeless? Try this shampoo! Guaranteed body! Dry hair? This shampoo will repair damaged hair! Oily hair. Straight hair. Dull hair. There’s a product out there for every kind of perceived wrong with your hair. What they don’t address is that the root cause (no pun intended, but very appropriate in this case) is the crap you put on your scalp.
A few days later, at the weaving retreat, Judith mentioned a story she read about Meryl Streep’s guide to beauty, which including washing your hair only once a month. This led to a whole series of discussions over the course of a few days about the grease factor and how it’s done.
What exactly does it really mean when someone doesn’t wash their hair? They don’t wet the hair? They don’t use commercial products? They use commercial products, but just not “shampoo”? Or perhaps they use shampoo that does not contain SLS.
I have done some research over the past several months on this whole “no ‘poo” (no shampoo) thing, and I’ve been very confused about it all. It seems that there are several different definitions of going no ‘poo. Here’s a quick run down on my interpretation of the various methods out there:
- Don’t use products with SLS or any products with silicone (no ‘cone movement is another subset), but mild products are okay. The premise is that you are reducing the dependency on the chemicals. I’ve already done this by switching to various non-SLS products. Current favorites are Giovanni 50/50 Balancing Shampoo/Conditioner, and the much cheaper alternative, Trader Joe’s Nourish Spa Shampoo/Conditioner.
-- Materials data, kept here for reference --
********
Density functional theory data (PBE-GGA) for a relaxed Ac2HgGe crystal.

SG: No. 225
V: 125.7 Å³/cell
Calculated formation energy: -0.49 eV per atom

Lattice parameters (Å, degrees): 5.623 5.623 5.623 60.00 60.00 60.00
Fractional coordinates of all 4 atoms:
Ge  0.500  0.500  0.500
Ac  0.750  0.750  0.750
Ac  0.250  0.250  0.250
Hg  0.000  0.000  0.000

=====

Density functional theory data (PBE-GGA) for AlH18Br3O18 after structural relaxation.

Values from the calculation:
Uncorrected energy: -4.477 eV per atom
Energy of formation from the pure elements: -816 meV per atom
Magnetic moment: 6.00 μB per formula unit

abc: 10.5219 10.9944 12.6421
angles: 110.84 107.57 100.81
Closest atoms and distances in Å follow each position.
Space group P-1 (No. 2)
Symmetry-distinct sites (fractional):
Al 0.2123 0.2340 0.4079 (multiplicity 2)  3 O 1.74-1.91
H 0.0148 0.3609 0.2470 (multiplicity 2)  1 O 1.00
H 0.1345 0.7799 0.1126 (multiplicity 2)  1 O 0.99
H 0.1555 0.0287 0.7573 (multiplicity 2)  1 O 1.00
H 0.1927 0.3977 0.9774 (multiplicity 2)  1 O 0.98
H 0.2368 0.9954 0.4244 (multiplicity 2)  1 O 0.97
H 0.2675 0.2823 0.7973 (multiplicity 2)  1 O 0.99
H 0.3056 0.5432 0.0548 (multiplicity 2)  1 O 0.97
H 0.3203 0.1256 0.2631 (multiplicity 2)  1 O 0.97
H 0.3296 0.3993 0.1597 (multiplicity 2)  1 O 1.00
H 0.3400 0.7314 0.7516 (multiplicity 2)  1 H 0.75
H 0.3448 0.2807 0.2736 (multiplicity 2)  1 O 1.05
H 0.3775 0.7479 0.3629 (multiplicity 2)  1 O 0.98
H 0.3836 0.1311 0.4984 (multiplicity 2)  1 O 1.00
H 0.3981 0.7746 0.7445 (multiplicity 2)  1 H 0.75
H 0.4086 0.8077 0.2196 (multiplicity 2)  1 O 1.00
H 0.4193 0.6336 0.3980 (multiplicity 2)  1 O 0.98
H 0.4463 0.9485 0.3274 (multiplicity 2)  1 O 0.97
H 0.4801 0.4258 0.2630 (multiplicity 2)  1 O 0.97
Br 0.0278 0.9961 0.8688 (multiplicity 2)  1 O 1.81
Br 0.3190 0.4795 0.5304 (multiplicity 2)  1 Al 2.40, 1 H 2.51, 1 O 2.57
Br 0.3928 0.0673 0.8325 (multiplicity 2)  2 O 1.71-1.81
O 0.0543 0.1928 0.2850 (multiplicity 2)  1 Al 1.74
O 0.0548 0.4444 0.2381 (multiplicity 2)  1 H 1.00
O 0.0635 0.6913 0.0472 (multiplicity 2)  1 H 0.99
O 0.0684 0.5503 0.8559 (multiplicity 2)  1 O 1.32
O 0.0995 0.1545 0.0102 (multiplicity 2)  1 Br 1.81
O 0.1387 0.6705 0.9532 (multiplicity 2)  1 O 1.32
O 0.1533 0.2768 0.5320 (multiplicity 2)  1 Al 1.80
O 0.1697 0.2687 0.7933 (multiplicity 2)  1 H 0.99
O 0.2171 0.0045 0.7118 (multiplicity 2)  1 H 1.00
O 0.2635 0.4609 0.0610 (multiplicity 2)  2 H 0.97-0.98
O 0.2813 0.0896 0.4408 (multiplicity 2)  2 H 0.97-1.00
O 0.2897 0.9196 0.9710 (multiplicity 2)  1 O 1.25
O 0.3308 0.2181 0.3185 (multiplicity 2)  2 H 0.97-1.05
O 0.3454 0.9806 0.0862 (multiplicity 2)  1 O 1.25
O 0.3684 0.8618 0.2753 (multiplicity 2)  2 H 0.97-1.00
O 0.3792 0.3760 0.2272 (multiplicity 2)  2 H 0.97-1.00
O 0.4438 0.7335 0.4275 (multiplicity 2)  2 H 0.98
O 0.4794 0.2311 0.8611 (multiplicity 2)  1 Br 1.71, 1 H 1.79

=====

Entry from the Materials Project database: a relaxed Mg7Sc crystal (PBE).

## Properties
********
- Don’t use shampoo, but use conditioners in place of shampoo (as long as it’s non-SLS). The premise here is that all conditioners have mild surfactants, which will clean your hair but won’t strip the oils out.
- Wash your hair with baking soda wash and follow it with an apple cider vinegar rinse. The premise is that baking soda acts as a mild cleanser and the vinegar rinse will restore the pH balance.
- Really hard core — nothing but water. The premise is that your sebum will do all the work that’s necessary to keeping your hair healthy. Water will rinse out all the dirt and sweat.
So, my question is, just what is ‘poo free? I know that Wendy has gone ‘poo free, but she replaced shampoo with another commercial product. As far as I can tell from the website, it’s a shampoo alternative. It’s not what I think of going ‘poo free. I think it fits definition #2. This actually has been suggested by at least one stylist in my past. I have never tried it.
So, bottom line, I don’t know what the definition of “no ‘poo” is. What do you think? What does it mean to go “no ‘poo”?